What to do.
Now reproduce everything below exactly.

Entries.
____________
An optimized crystal structure of TiOsN2. Source: Alexandria, functional PBE.

```
data_TiOsN2
_chemical_formula_sum 'Ti4 Os4 N8'
_space_group_name_H-M_alt 'I -4 2 d'
_space_group_IT_number 122
_space_group_name_Hall 'I -4 2bw'
_cell_length_a 4.474
_cell_length_b 4.474
_cell_length_c 9.712
_cell_angle_alpha 90.00
_cell_angle_beta 90.00
_cell_angle_gamma 90.00
loop_
_atom_site_label
_atom_site_type_symbol
_atom_site_fract_x
_atom_site_fract_y
_atom_site_fract_z
Ti1 Ti 0.000 0.000 0.000
Os1 Os 0.000 0.000 0.500
N1 N 0.249 0.250 0.625
```

Its formation energy without anion corrections is -132.2 kJ/mol of formula units.


An optimized crystal structure of Ti4OsN2. Source: Alexandria, functional PBE.

```
data_Ti4OsN2
_chemical_formula_sum 'Ti16 Os4 N8'
_space_group_name_H-M_alt 'C m c m'
_space_group_IT_number 63
_space_group_name_Hall '-C 2c 2'
_cell_length_a 3.053
_cell_length_b 10.458
_cell_length_c 11.010
_cell_angle_alpha 90.00
_cell_angle_beta 90.00
_cell_angle_gamma 90.00
loop_
_atom_site_label
_atom_site_type_symbol
_atom_site_fract_x
_atom_site_fract_y
_atom_site_fract_z
Ti1 Ti 0.000 0.000 0.000
Ti2 Ti 0.000 0.267 0.105
Ti3 Ti 0.000 0.416 0.750
Os1 Os 0.000 0.106 0.750
N1 N 0.000 0.366 0.559
```

Its formation energy without anion corrections is -784.9 kJ/mol of formula units.


An optimized crystal structure of Ti2OsN. Source: Alexandria, functional PBE.

```
data_Ti2OsN
_chemical_formula_sum 'Ti8 Os4 N4'
_space_group_name_H-M_alt 'F m -3 m'
_space_group_IT_number 225
_space_group_name_Hall '-F 4 2 3'
_cell_length_a 5.974
_cell_length_b 5.974
_cell_length_c 5.974
_cell_angle_alpha 90.00
_cell_angle_beta 90.00
_cell_angle_gamma 90.00
loop_
_atom_site_label
_atom_site_type_symbol
_atom_site_fract_x
_atom_site_fract_y
_atom_site_fract_z
Ti1 Ti 0.250 0.250 0.250
Os1 Os 0.000 0.000 0.000
N1 N 0.000 0.000 0.500
```

Its formation energy without anion corrections is 119.4 kJ/mol of formula units.


An optimized crystal structure of Ti3OsN. Source: Alexandria, functional PBE.

```
data_Ti3OsN
_chemical_formula_sum 'Ti3 Os1 N1'
_space_group_name_H-M_alt 'P m -3 m'
_space_group_IT_number 221
_space_group_name_Hall '-P 4 2 3'
_cell_length_a 4.701
_cell_length_b 4.701
_cell_length_c 4.701
_cell_angle_alpha 90.00
_cell_angle_beta 90.00
_cell_angle_gamma 90.00
loop_
_atom_site_label
_atom_site_type_symbol
_atom_site_fract_x
_atom_site_fract_y
_atom_site_fract_z
Ti1 Ti 0.000 0.000 0.500
Os1 Os 0.000 0.000 0.000
N1 N 0.500 0.500 0.500
```

Its formation energy without anion corrections is 659.3 kJ/mol of formula units.


An optimized crystal structure of TiOsN2. Source: Alexandria, functional PBE.

```
data_TiOsN2
_chemical_formula_sum 'Ti4 Os4 N8'
_space_group_name_H-M_alt 'F m -3 m'
_space_group_IT_number 225
_space_group_name_Hall '-F 4 2 3'
_cell_length_a 5.368
_cell_length_b 5.368
_cell_length_c 5.368
_cell_angle_alpha 90.00
_cell_angle_beta 90.00
_cell_angle_gamma 90.00
loop_
_atom_site_label
_atom_site_type_symbol
_atom_site_fract_x
_atom_site_fract_y
_atom_site_fract_z
Ti1 Ti 0.000 0.000 0.000
Os1 Os 0.000 0.000 0.500
N1 N 0.250 0.250 0.250
```

Its formation energy without anion corrections is 120.3 kJ/mol of formula units.


An optimized crystal structure of Ti4OsN. Source: Alexandria, functional PBE.

```
data_Ti4OsN
_chemical_formula_sum 'Ti16 Os4 N4'
_space_group_name_H-M_alt 'I 41 m d'
_space_group_IT_number 109
_space_group_name_Hall 'I 4bw -2'
_cell_length_a 7.410
_cell_length_b 7.410
_cell_length_c 7.076
_cell_angle_alpha 90.00
_cell_angle_beta 90.00
_cell_angle_gamma 90.00
loop_
_atom_site_label
_atom_site_type_symbol
_atom_site_fract_x
_atom_site_fract_y
_atom_site_fract_z
Ti1 Ti 0.000 0.188 0.000
Ti2 Ti 0.000 0.204 0.420
Os1 Os 0.000 0.000 0.697
N1 N 0.000 0.000 0.222
```

Its formation energy without anion corrections is -226.0 kJ/mol of formula units.


An optimized crystal structure of TiOsN2. Source: Alexandria, functional PBE.

```
data_TiOsN2
_chemical_formula_sum 'Ti3 Os3 N6'
____________

Solution.
An optimized crystal structure of TiOsN2. Source: Alexandria, functional PBE.

```
data_TiOsN2
_chemical_formula_sum 'Ti4 Os4 N8'
_space_group_name_H-M_alt 'I -4 2 d'
_space_group_IT_number 122
_space_group_name_Hall 'I -4 2bw'
_cell_length_a 4.474
_cell_length_b 4.474
_cell_length_c 9.712
_cell_angle_alpha 90.00
_cell_angle_beta 90.00
_cell_angle_gamma 90.00
loop_
_atom_site_label
_atom_site_type_symbol
_atom_site_fract_x
_atom_site_fract_y
_atom_site_fract_z
Ti1 Ti 0.000 0.000 0.000
Os1 Os 0.000 0.000 0.500
N1 N 0.249 0.250 0.625
```

Its formation energy without anion corrections is -132.2 kJ/mol of formula units.


An optimized crystal structure of Ti4OsN2. Source: Alexandria, functional PBE.

```
data_Ti4OsN2
_chemical_formula_sum 'Ti16 Os4 N8'
_space_group_name_H-M_alt 'C m c m'
_space_group_IT_number 63
_space_group_name_Hall '-C 2c 2'
_cell_length_a 3.053
_cell_length_b 10.458
_cell_length_c 11.010
_cell_angle_alpha 90.00
_cell_angle_beta 90.00
_cell_angle_gamma 90.00
loop_
_atom_site_label
_atom_site_type_symbol
_atom_site_fract_x
_atom_site_fract_y
_atom_site_fract_z
Ti1 Ti 0.000 0.000 0.000
Ti2 Ti 0.000 0.267 0.105
Ti3 Ti 0.000 0.416 0.750
Os1 Os 0.000 0.106 0.750
N1 N 0.000 0.366 0.559
```

Its formation energy without anion corrections is -784.9 kJ/mol of formula units.


An optimized crystal structure of Ti2OsN. Source: Alexandria, functional PBE.

```
data_Ti2OsN
_chemical_formula_sum 'Ti8 Os4 N4'
_space_group_name_H-M_alt 'F m -3 m'
_space_group_IT_number 225
_space_group_name_Hall '-F 4 2 3'
_cell_length_a 5.974
_cell_length_b 5.974
_cell_length_c 5.974
_cell_angle_alpha 90.00
_cell_angle_beta 90.00
_cell_angle_gamma 90.00
loop_
_atom_site_label
_atom_site_type_symbol
_atom_site_fract_x
_atom_site_fract_y
_atom_site_fract_z
Ti1 Ti 0.250 0.250 0.250
Os1 Os 0.000 0.000 0.000
N1 N 0.000 0.000 0.500
```

Its formation energy without anion corrections is 119.4 kJ/mol of formula units.


An optimized crystal structure of Ti3OsN. Source: Alexandria, functional PBE.

```
data_Ti3OsN
_chemical_formula_sum 'Ti3 Os1 N1'
_space_group_name_H-M_alt 'P m -3 m'
_space_group_IT_number 221
_space_group_name_Hall '-P 4 2 3'
_cell_length_a 4.701
_cell_length_b 4.701
_cell_length_c 4.701
_cell_angle_alpha 90.00
_cell_angle_beta 90.00
_cell_angle_gamma 90.00
loop_
_atom_site_label
_atom_site_type_symbol
_atom_site_fract_x
_atom_site_fract_y
_atom_site_fract_z
Ti1 Ti 0.000 0.000 0.500
Os1 Os 0.000 0.000 0.000
N1 N 0.500 0.500 0.500
```

Its formation energy without anion corrections is 659.3 kJ/mol of formula units.


An optimized crystal structure of TiOsN2. Source: Alexandria, functional PBE.

```
data_TiOsN2
_chemical_formula_sum 'Ti4 Os4 N8'
_space_group_name_H-M_alt 'F m -3 m'
_space_group_IT_number 225
_space_group_name_Hall '-F 4 2 3'
_cell_length_a 5.368
_cell_length_b 5.368
_cell_length_c 5.368
_cell_angle_alpha 90.00
_cell_angle_beta 90.00
_cell_angle_gamma 90.00
loop_
_atom_site_label
_atom_site_type_symbol
_atom_site_fract_x
_atom_site_fract_y
_atom_site_fract_z
Ti1 Ti 0.000 0.000 0.000
Os1 Os 0.000 0.000 0.500
N1 N 0.250 0.250 0.250
```

Its formation energy without anion corrections is 120.3 kJ/mol of formula units.


An optimized crystal structure of Ti4OsN. Source: Alexandria, functional PBE.

```
data_Ti4OsN
_chemical_formula_sum 'Ti16 Os4 N4'
_space_group_name_H-M_alt 'I 41 m d'
_space_group_IT_number 109
_space_group_name_Hall 'I 4bw -2'
_cell_length_a 7.410
_cell_length_b 7.410
_cell_length_c 7.076
_cell_angle_alpha 90.00
_cell_angle_beta 90.00
_cell_angle_gamma 90.00
loop_
_atom_site_label
_atom_site_type_symbol
_atom_site_fract_x
_atom_site_fract_y
_atom_site_fract_z
Ti1 Ti 0.000 0.188 0.000
Ti2 Ti 0.000 0.204 0.420
Os1 Os 0.000 0.000 0.697
N1 N 0.000 0.000 0.222
```

Its formation energy without anion corrections is -226.0 kJ/mol of formula units.


An optimized crystal structure of TiOsN2. Source: Alexandria, functional PBE.

```
data_TiOsN2
_chemical_formula_sum 'Ti3 Os3 N6'